(Contents)
- - -
LaZrMo4: computed XRD peak list (Cu Ka), based on a PBE-relaxed structure.
Intensities are scaled so that the largest is 100.

Structure:
```
data_LaZrMo4
_chemical_formula_sum 'La1 Zr1 Mo4'
_cell_length_a 5.504
_cell_length_b 5.504
_cell_length_c 5.504
_cell_angle_alpha 60.00
_cell_angle_beta 60.00
_cell_angle_gamma 60.00
_symmetry_space_group_name_H-M 'P 1'
_symmetry_Int_Tables_number 1
_symmetry_space_group_name_Hall 'P 1'
loop_
_atom_site_label
_atom_site_type_symbol
_atom_site_fract_x
_atom_site_fract_y
_atom_site_fract_z
La1 La 0.000 0.000 0.000
Zr1 Zr 0.250 0.250 0.250
Mo1 Mo 0.125 0.625 0.625
Mo2 Mo 0.625 0.125 0.625
Mo3 Mo 0.625 0.625 0.125
Mo4 Mo 0.625 0.625 0.625
```

Peak list (10 most intense, 10° ≤ 2θ ≤ 90°, in order of falling intensity)
| two_theta | d/Å | Rel. int. |
| --- | --- | --- |
| 38.4 | 2.347 | 100 |
| 40.1 | 2.247 | 35 |
| 32.5 | 2.752 | 32 |
| 61.9 | 1.498 | 32 |
| 68.1 | 1.376 | 26 |
| 82.1 | 1.174 | 13 |
| 58.0 | 1.589 | 12 |
| 81.0 | 1.187 | 11 |
| 77.6 | 1.231 | 5 |
| 19.8 | 4.494 | 3 |

Sr3Rh2O7: computed XRD peak list (Cu Ka), based on a PBE-relaxed structure.
Intensities are scaled so that the largest is 100.

Structure:
```
data_Sr3Rh2O7
_chemical_formula_sum 'Sr3 Rh2 O7'
_cell_length_a 10.673
_cell_length_b 10.673
_cell_length_c 10.673
_cell_angle_alpha 158.44
_cell_angle_beta 158.44
_cell_angle_gamma 30.67
_symmetry_space_group_name_H-M 'P 1'
_symmetry_Int_Tables_number 1
_symmetry_space_group_name_Hall 'P 1'
loop_
_atom_site_label
_atom_site_type_symbol
_atom_site_fract_x
_atom_site_fract_y
_atom_site_fract_z
Sr1 Sr 0.000 0.000 0.000
Sr2 Sr 0.184 0.184 0.000
Sr3 Sr 0.816 0.816 0.000
Rh1 Rh 0.401 0.401 0.000
Rh2 Rh 0.599 0.599 0.000
O1 O 0.097 0.597 0.500
O2 O 0.303 0.303 0.000
O3 O 0.403 0.903 0.500
O4 O 0.500 0.500 0.000
O5 O 0.597 0.097 0.500
O6 O 0.697 0.697 0.000
O7 O 0.903 0.403 0.500
```

Peak list (10 most intense, 10° ≤ 2θ ≤ 90°, in order of falling intensity)
| two_theta | d/Å | Rel. int. |
| --- | --- | --- |
| 31.2 | 2.866 | 100 |
| 31.7 | 2.823 | 63 |
| 56.2 | 1.638 | 39 |
| 45.4 | 1.996 | 37 |
| 55.2 | 1.663 | 17 |
| 65.1 | 1.433 | 17 |
| 44.0 | 2.059 | 15 |
| 17.2 | 5.146 | 11 |
| 66.2 | 1.411 | 11 |
| 75.3 | 1.262 | 10 |

LaY3Pt8: computed XRD peak list (Cu Ka), based on a PBE-relaxed structure.
Intensities are scaled so that the largest is 100.

Structure:
```
data_LaY3Pt8
_chemical_formula_sum 'La1 Y3 Pt8'
_cell_length_a 5.485
_cell_length_b 5.485
_cell_length_c 8.966
_cell_angle_alpha 90.00
_cell_angle_beta 90.00
_cell_angle_gamma 120.00
_symmetry_space_group_name_H-M 'P 1'
_symmetry_Int_Tables_number 1
_symmetry_space_group_name_Hall 'P 1'
loop_
_atom_site_label
_atom_site_type_symbol
_atom_site_fract_x
_atom_site_fract_y
_atom_site_fract_z
La1 La 0.000 0.000 0.000
Y1 Y 0.000 0.000 0.374
Y2 Y 0.667 0.333 0.494
Y3 Y 0.667 0.333 0.860
Pt1 Pt 0.165 0.330 0.680
Pt2 Pt 0.165 0.835 0.680
Pt3 Pt 0.333 0.667 0.431
Pt4 Pt 0.333 0.667 0.932
Pt5 Pt 0.503 0.005 0.185
Pt6 Pt 0.503 0.497 0.185
Pt7 Pt 0.670 0.835 0.680
Pt8 Pt 0.995 0.497 0.185
```

Peak list (10 most intense, 10° ≤ 2θ ≤ 90°, in order of falling intensity)
| two_theta | d/Å | Rel. int. |
| --- | --- | --- |
| 39.2 | 2.296 | 100 |
| 38.5 | 2.339 | 89 |
| 35.5 | 2.530 | 46 |
| 43.1 | 2.099 | 40 |
| 18.7 | 4.750 | 30 |
| 65.2 | 1.431 | 30 |
| 68.4 | 1.371 | 29 |
| 40.2 | 2.241 | 27 |
| 62.2 | 1.493 | 26 |
| 82.5 | 1.170 | 21 |

PmNd5Tm: computed XRD peak list (Cu Ka), based on a PBE-relaxed structure.
Intensities are scaled so that the largest is 100.

Structure:
```
data_PmNd5Tm
_chemical_formula_sum 'Pm2 Nd10 Tm2'
_cell_length_a 6.643
_cell_length_b 6.643
_cell_length_c 11.791
_cell_angle_alpha 102.94
_cell_angle_beta 102.94
_cell_angle_gamma 96.98
_symmetry_space_group_name_H-M 'P 1'
_symmetry_Int_Tables_number 1
_symmetry_space_group_name_Hall 'P 1'
loop_
_atom_site_label
_atom_site_type_symbol
_atom_site_fract_x
_atom_site_fract_y
_atom_site_fract_z
Pm1 Pm 0.249 0.751 0.750
Pm2 Pm 0.751 0.249 0.250
- - -

(What to do)
Count the lines further above that contain the word "largest" and give the number alone.

(Response)
4